Depends on what your definition ... is
Regarding the last post and a comment by loyal reader Radoje:
I think these discussions of salvation really are at the heart of the differences between Orthodoxy and the rest of the Christian world. And some conversations I've been having lately with my mom indicate the same.
We need to talk about what it means to be "saved."
As an evangelical Protestant, being "saved" meant two things to me: having Christ as my "personal Lord and Savior" and going to heaven.
As an Orthodox Christian, salvation means much more.
Mankind was created unique--with the image of God, made for a communion with its Creator that the rest of creation cannot understand. But we fell.
And the curse of that fall is more than just a legal understanding of transgression and consequence. It is about losing that which is more precious--life. We were created to be X, but now we are Y. It is wrong and we know it. By eating the fruit, by ignoring the commands of our God, we broke off the relationship with Him. We brought death into the world, and now we can't get it out.
St. Paul's assertion that the wages of sin is death is as much a statement of fact as it is a "legal declaration." If I jump off a building, I will get hurt. No one sentences me to pain. It is a logical and rational consequence of defying the laws of physics which hold me to the planet. If I sin, I die. Christ's life, His death, and His resurrection fix all that. It is for our salvation.
Salvation is life. It is the restoration of that which is spoiled. It is the repair of what has been broken seemingly beyond repair. It is healing that which is sick.
Frederica Mathews-Green writes that the parable of the prodigal son does not have the father saying, "Well, you can't come home until somebody pays this Visa bill." He loves him, and accepts him home and restores him to his place in the family. All the son had to do was turn for home and seek his father's forgiveness.
Orthodoxy doesn't primarily hold the notion of "substitutionary atonement." The legacy of post-schism Western Christianity, largely because of the over-inflated influence given to St. Augustine and subsequently Anselm, is the reduction of the salvation to a legal act, and sets up the primary relationship between God and mankind as one of Judge and condemned.
Please understand, I am not minimizing the righteousness of God. The Bible is clear. We will ALL have to give account before Him for our every action and thought. But as with much of Christianity outside of Orthodoxy, some critical balance is missing. God is righteous, but God is love. And from the very moment of the fall, when Adam and Eve were cast out, He began to work for our ultimate redemption and restoration.
So to the Orthodox Christian, to me, salvation is about becoming that person I was created to be, to move toward a right relationship with God, and trusting in His grace to help get me there. Sure, heaven sounds fabulous. I want to go there, though, not merely because I don't want to go to hell, but because I want to be with Him, in that relationship as it was always intended to be.
The Church, through the Sacraments, becomes a way to accept that grace, and to act in faith, to turn toward home and seek the forgiveness and love of the father.
== Between two parts of the page: records of crystals ==
+++
[1]
The following is a r²SCAN calculation of ThMgHg2 after structural relaxation, from the Materials Project database.

Cell: 5.1879 5.1879 5.1879 Å, 60.00 60.00 60.00°
Fractional coordinates of all 4 atoms:
Th  0.0000  0.0000  0.0000
Mg  0.5000  0.5000  0.5000
Hg  0.2500  0.2500  0.2500
Hg  0.7500  0.7500  0.7500

Calculated values
Crystal system: cubic



[2]
The following is a r²SCAN calculation of Y2MgHg after structural relaxation, from the Materials Project database.

Cell: 5.2869 5.2869 5.2869 Å, 60.00 60.00 60.00°
Fractional coordinates of all 4 atoms:
Y  0.2500  0.2500  0.2500
Y  0.7500  0.7500  0.7500
Mg  0.0000  0.0000  0.0000
Hg  0.5000  0.5000  0.5000

Calculated values
ΔE to the lowest computed polymorph, meV per atom: 0
Crystal system: cubic



[3]
The following is a r²SCAN calculation of YbMgHg2 after structural relaxation, from the Materials Project database.

Cell: 4.9766 4.9766 4.9766 Å, 60.00 60.00 60.00°
Fractional coordinates of all 4 atoms:
Yb  0.0000  0.0000  0.0000
Mg  0.5000  0.5000  0.5000
Hg  0.2500  0.2500  0.2500
Hg  0.7500  0.7500  0.7500

Calculated values
Crystal system: cubic



[4]
The following is a r²SCAN calculation of Mn2HgO4 after structural relaxation, from the Materials Project database.

Cell: 6.5021 6.4908 5.8661 Å, 63.26 63.06 53.68°
Fractional coordinates of all 14 atoms:
Mn  0.0000  0.0000  0.0000
Mn  0.0000  0.0000  0.5000
Mn  0.0000  0.5000  0.0000
Mn  0.5000  0.0000  0.0000
Hg  0.3750  0.3750  0.3750
Hg  0.6250  0.6250  0.6250
O  0.1932  0.7656  0.7697
O  0.2286  0.2303  0.2344
O  0.2303  0.2286  0.8068
O  0.2344  0.8068  0.2286
O  0.7656  0.1932  0.7714
O  0.7697  0.7714  0.1932
O  0.7714  0.7697  0.7656
O  0.8068  0.2344  0.2303

Calculated values
Crystal system: orthorhombic



[5]
The following is a r²SCAN calculation of HgMoO4 after structural relaxation, from the Materials Project database.

Cell: 6.4470 6.4470 5.1393 Å, 109.34 109.34 56.51°
Fractional coordinates of all 12 atoms:
Hg  0.0000  0.5000  0.0000
Hg  0.5000  0.0000  0.5000
Mo  0.1916  0.8084  0.7500
Mo  0.8084  0.1916  0.2500
O  0.0078  0.1876  0.0357
O  0.1876  0.0078  0.5357
O  0.2519  0.5224  0.5285
O  0.4776  0.7481  0.9715
O  0.5224  0.2519  0.0285
O  0.7481  0.4776  0.4715
O  0.8124  0.9922  0.4643
O  0.9922  0.8124  0.9643

Calculated values
Crystal system: monoclinic



[6]
The following is a r²SCAN calculation of Na8Hg3 after structural relaxation, from the Materials Project database.

Cell: 18.0374 18.0374 18.0374 Å, 29.41 29.41 29.41°
Fractional coordinates of all 44 atoms:
Na  0.0139  0.2907  0.6412
Na  0.0616  0.0616  0.0616
Na  0.1205  0.3642  0.8586
Na  0.1358  0.3795  0.6414
Na  0.1412  0.7907  0.5139
Na  0.1414  0.8795  0.6358
Na  0.2093  0.4861  0.8588
Na  0.2200  0.2200  0.2200
Na  0.2800  0.2800  0.2800
Na  0.2907  0.6412  0.0139
Na  0.3586  0.8642  0.6205
Na  0.3588  0.9861  0.7093
Na  0.3642  0.8586  0.1205
Na  0.3795  0.6414  0.1358
Na  0.4384  0.4384  0.4384
Na  0.4861  0.8588  0.2093
+++
== Back to the page ==
Being "saved" is not just about bestowing a functional title on God. It is not about avoiding a rather warm eternity. It is about being a Christian...a little Christ. And that's what He wanted for us in the first place.